Turlock Unified School District is joining the effort to fight back against one of the fastest growing social problems affecting school aged children- online bullying, also known as cyber bullying.
"Keeping our kids safe is paramount o us and part of that is creating a bully-free atmosphere," said TUSD Director of Student Services Gil Ogden.
Last week dozens of TUSD school site administrators and teachers attended a powerful workshop about how to handle cyber bulling.
+++
Structure and calculated powder X-ray diffraction pattern of LiMnI2F (a GGA+U-relaxed structure; Cu Ka).
Intensities are scaled so that the largest is 1000.

Crystal structure
a b c (Å): 5.8556 5.8556 4.0851
angles (deg): 90.00 90.00 90.00
Space group P4/mmm (No. 123)
Asymmetric unit:
Li1 0.0000 0.0000 0.0000
Mn1 0.5000 0.5000 0.5000
I1 0.0000 0.5000 0.5000
F1 0.5000 0.5000 0.0000

The 10 most intense peaks (2θ = 15–90°), sorted by position:
2theta, I/Imax
15.13, 267
21.46, 614
21.76, 846
30.53, 1000
30.75, 853
37.80, 801
43.72, 361
49.35, 369
54.40, 332
54.80, 361

----------

Diffraction record for Hf3Zn3N. The powder X-ray diffraction pattern is calculated, not measured: it uses a GGA-PBE-relaxed structure and Cu Kα (λ = 1.5418 Å).
Peak positions follow from Bragg's law for the DFT cell and can differ from measured ones.

Structure:
```
Hf3Zn3N
1.0
0.000 6.021 6.021
6.021 0.000 6.021
6.021 6.021 0.000
Hf Zn N
12 12 4
Direct
0.060 0.060 0.690
0.060 0.690 0.060
0.060 0.690 0.690
0.310 0.310 0.940
0.310 0.940 0.310
0.310 0.940 0.940
0.690 0.060 0.060
0.690 0.060 0.690
0.690 0.690 0.060
0.940 0.310 0.310
0.940 0.310 0.940
0.940 0.940 0.310
0.000 0.500 0.500
0.292 0.292 0.292
0.292 0.292 0.623
0.292 0.623 0.292
0.377 0.708 0.708
0.500 0.000 0.500
0.500 0.500 0.000
0.500 0.500 0.500
0.623 0.292 0.292
0.708 0.377 0.708
0.708 0.708 0.377
0.708 0.708 0.708
0.000 0.000 0.000
0.000 0.000 0.500
0.000 0.500 0.000
0.500 0.000 0.000
```

The 10 most intense peaks (5° ≤ 2θ ≤ 70°), in order of falling intensity:
- 2θ 38.86, I 1000
- 2θ 36.55, I 537
- 2θ 65.80, I 482
- 2θ 32.41, I 271
- 2θ 42.46, I 179
- 2θ 12.73, I 131
- 2θ 54.41, I 118
- 2θ 29.67, I 108
- 2θ 67.34, I 106
- 2θ 63.20, I 96
+++
The records of crystals stop here:
Jostens, the popular ring and yearbook company, sponsored the event under its "Pause Before You Post" Campaign. Justin Patchin, Director of the Cyber Bullying Research Center at the University of Wisconsin Eau Claire, delivered the message that cyber bullying has grown into a worldwide problem- but not as big of a problem as is portrayed in current society.
To begin his lesson to TUSD personnel Patchin defined bullying as a verbal or physical attack that happens repeatedly. "If I'm walking down the hallway and someone pushes me into a locker one time it is probably not bullying. But if it happens every day then it is," he explained. "Back in the 90s and early 2000s if you had something like that happen at school you just went home and forgot about it- you could escape it. But now there is no escape, everyone is plugged in and now if you are a teen and you unplug you are putting yourself at a disadvantage socially."
According to Patchin- in July of 2011 95 percent of teens reported going online daily and the average teen text about 3,400 a month. About 25 percent of kids have been bullied online and only 10 percent of kids admit to bullying others. Girls are more likely to bully and junior high school students are the worst bullying offenders.
"Grades or social status play no role in who is bullying online. Kids with A's are just as likely to bully as kids with D's," said Patchin.
'''
# 1
Starting from DFT lattice parameters and positions (PBE), the PXRD pattern of Cs3SbS3 was calculated for CuKα.
Kinematic intensities with the Lorentz-polarization factor, no thermal factor.

Atomic structure:
```
data_Cs3SbS3
_cell_length_a 10.4815
_cell_length_b 10.4815
_cell_length_c 10.4815
_cell_angle_alpha 90.00
_cell_angle_beta 90.00
_cell_angle_gamma 90.00
_space_group_name_H-M_alt 'P 21 3'
_space_group_IT_number 198
_space_group_name_Hall 'P 2ac 2ab 3'
loop_
_atom_site_label
_atom_site_type_symbol
_atom_site_fract_x
_atom_site_fract_y
_atom_site_fract_z
Cs1 Cs 0.0580 0.0580 0.0580
Cs2 Cs 0.0594 0.9406 0.4406
Cs3 Cs 0.1795 0.3205 0.6795
Sb1 Sb 0.2246 0.7246 0.7754
S1 S 0.0508 0.2584 0.3418
```

Most intense lines, 10 to 90 degrees two-theta, most intense first:
2θ/deg  Rel. int.  h k l
26.90  100  3 1 0
24.01  72  2 2 0
31.95  56  3 2 1
44.05  50  4 1 3
20.76  27  2 1 1
42.24  20  4 2 2
47.51  19  5 1 2
56.94  19  5 4 1



# 2
Starting from DFT lattice parameters and positions (PBE), the PXRD pattern of Cs2Sn3Sb2S10 was calculated for CuKα.
Kinematic intensities with the Lorentz-polarization factor, no thermal factor.

Atomic structure:
```
data_Cs2Sn3Sb2S10
_cell_length_a 7.1944
_cell_length_b 13.7949
_cell_length_c 12.3009
_cell_angle_alpha 90.00
_cell_angle_beta 120.75
_cell_angle_gamma 90.00
_space_group_name_H-M_alt 'P 1 21/c 1'
_space_group_IT_number 14
loop_
_space_group_symop_operation_xyz
'x,y,z'
'-x,-y,-z'
'-x,y+1/2,-z+1/2'
'x,-y+1/2,z+1/2'
loop_
_atom_site_label
_atom_site_type_symbol
_atom_site_fract_x
_atom_site_fract_y
_atom_site_fract_z
Cs1 Cs 0.0392 0.1650 0.1554
Sn1 Sn 0.0000 0.0000 0.5000
Sn2 Sn 0.3933 0.0533 0.8481
Sb1 Sb 0.4914 0.1419 0.5966
S1 S 0.0072 0.0599 0.7033
S2 S 0.0994 0.1705 0.4620
S3 S 0.4219 0.5287 0.1312
S4 S 0.4288 0.6908 0.6844
S5 S 0.4320 0.1023 0.0565
```

Most intense lines, 10 to 90 degrees two-theta, most intense first:
2θ/deg  Rel. int.  h k l
22.98  100  1 3 -1
28.88  71  2 0 0
23.84  62  1 2 1
17.85  61  1 2 -1
25.31  49  1 2 -3
36.75  42  0 5 2
17.97  42  0 1 2
13.92  37  1 1 -1



# 3
Starting from DFT lattice parameters and positions (PBE), the PXRD pattern of CsSmSiS4 was calculated for CuKα.
Kinematic intensities with the Lorentz-polarization factor, no thermal factor.

Atomic structure:
```
data_CsSmSiS4
_cell_length_a 6.4962
_cell_length_b 6.8030
_cell_length_c 18.0591
_cell_angle_alpha 90.00
_cell_angle_beta 90.00
_cell_angle_gamma 90.00
_space_group_name_H-M_alt 'P 21 21 21'
_space_group_IT_number 19
loop_
_space_group_symop_operation_xyz
'x,y,z'
'-x+1/2,-y,z+1/2'
'x+1/2,-y+1/2,-z'
'-x,y+1/2,-z+1/2'
loop_
_atom_site_label
_atom_site_type_symbol
_atom_site_fract_x
_atom_site_fract_y
_atom_site_fract_z
Cs1 Cs 0.0035 0.0064 0.4665
Sm1 Sm 0.2075 0.0208 0.7283
Si1 Si 0.2100 0.5157 0.3323
S1 S 0.0495 0.0112 0.0971
S2 S 0.0711 0.2557 0.8538
S3 S 0.1086 0.7466 0.8444
S4 S 0.1128 0.5703 0.2213
```

Most intense lines, 10 to 90 degrees two-theta, most intense first:
2θ/deg  Rel. int.  h k l
'''
### The records of crystals stop here
Teachers indicated that one of the problems with cyber bullying is the lack of teeth they have to go after a student who is harassing a student online. However in recent years schools have discovered that if a bully is affecting a victim's performance at school they can step in under certain educational code
What comes next are materials data, not part of the piece.
┌──
Entry 1:
For PtSe2O6, a crystal structure in Alexandria, relaxed with GGA-PBE gives the calculated PXRD pattern in this record (Cu Kα, 1.54184 Å).

Top 10 peaks for 2θ from 10° to 90°, low angle first:
| 2theta | I_rel | hkl |
| --- | --- | --- |
| 13.21 | 998 | 0 0 3 |
| 21.54 | 743 | 1 0 1 |
| 22.87 | 636 | 0 1 2 |
| 27.62 | 1000 | 1 0 4 |
| 30.73 | 958 | 0 1 5 |
| 36.93 | 582 | 1 1 0 |
| 37.90 | 347 | 1 0 7 |
| 39.39 | 270 | 1 1 3 |
| 48.78 | 267 | 2 0 5 |
| 55.86 | 421 | 2 -1 9 |

Cell and atoms:
Lattice parameters (Å, degrees): 4.8678 4.8678 20.1078 90.00 90.00 120.00
Space group R3 (No. 146, hexagonal axes)
Symmetry-distinct sites (fractional):
Pt1 0.0000 0.0000 0.0000 [3 per cell]
Se1 0.0000 0.0000 0.5715 [3 per cell]
Se2 0.0000 0.0000 0.7617 [3 per cell]
O1 0.0064 0.3365 0.6041 [9 per cell]
O2 0.0058 0.6696 0.7291 [9 per cell]

***

Entry 2:
For BiSbTeN2, a crystal structure in Alexandria, relaxed with GGA-PBE gives the calculated PXRD pattern in this record (Cu Kα, 1.54184 Å).

Top 10 peaks for 2θ from 10° to 90°, low angle first:
| 2theta | I_rel | hkl |
| --- | --- | --- |
| 15.19 | 408 | 0 0 1 |
| 25.83 | 642 | 1 0 1 |
| 29.53 | 1000 | 1 1 0 |
| 30.66 | 586 | 0 0 2 |
| 33.36 | 458 | 1 1 1 |
| 42.25 | 484 | 2 0 0 |
| 43.08 | 735 | 1 1 2 |
| 50.18 | 220 | 2 1 1 |
| 53.09 | 492 | 2 0 2 |
| 77.83 | 272 | 3 1 2 |

Cell and atoms:
Lattice parameters (Å, degrees): 4.278 4.278 5.833 90.00 90.00 90.00
Space group P4/mmm (No. 123)
Symmetry-distinct sites (fractional):
Bi1 0.000 0.000 0.000 [1 per cell]
Sb1 0.500 0.500 0.500 [1 per cell]
Te1 0.500 0.500 0.000 [1 per cell]
N1 0.000 0.500 0.500 [2 per cell]

***

Entry 3:
For RbTiS2, a crystal structure in Alexandria, relaxed with GGA-PBE gives the calculated PXRD pattern in this record (Cu Kα, 1.54184 Å).

Top 10 peaks for 2θ from 10° to 90°, low angle first:
| 2theta | I_rel | hkl |
| --- | --- | --- |
| 14.02 | 651 | 0 1 0 |
| 19.04 | 317 | 1 0 -1 |
| 19.77 | 296 | 1 1 -1 |
| 21.20 | 331 | 1 1 0 |
| 24.42 | 1000 | 0 1 -2 |
| 30.22 | 336 | 1 0 -2 |
| 31.12 | 490 | 1 -2 0 |
| 33.00 | 302 | 1 2 0 |
| 35.06 | 193 | 2 0 1 |
| 52.20 | 360 | 0 3 1 |

Cell and atoms:
Lattice parameters (Å, degrees): 6.010 7.299 7.339 119.80 96.77 90.18
Space group P1 (No. 1)
Symmetry-distinct sites (fractional):
Rb1 0.000 0.000 0.000 [1 per cell]
Rb2 0.436 0.639 0.277 [1 per cell]
Ti1 0.216 0.423 0.640 [1 per cell]
Ti2 0.716 0.418 0.639 [1 per cell]
S1 0.000 0.368 0.855 [1 per cell]
S2 0.431 0.152 0.426 [1 per cell]
S3 0.496 0.699 0.831 [1 per cell]
S4 0.938 0.505 0.446 [1 per cell]

***

Entry 4:
For Cs2Sn2PbSe4, a crystal structure in Alexandria, relaxed with GGA-PBE gives the calculated PXRD pattern in this record (Cu Kα, 1.54184 Å).

Top 10 peaks for 2θ from 10° to 90°, low angle first:
| 2theta | I_rel | hkl |
| --- | --- | --- |
| 10.86 | 461 | 0 0 1 |
| 25.47 | 682 | 3 1 -1 |
| 28.50 | 650 | 4 0 1 |
| 28.84 | 245 | 1 1 -2 |
| 29.12 | 1000 | 3 1 -2 |
| 31.41 | 332 | 3 1 1 |
| 34.06 | 213 | 6 0 -3 |
└──
"Even informal resolution is a tool. The bottom line it is your responsibility as educators to step in," explained Patchin.
Many educators are also parents and many expressed concern about how to go about handling such a topic. Patchin suggests that parents approach technology like driving. "To drive we have to get a permit, and then we take lessons and then a test. Then there are further restrictions as to how much and where you can drive. Then eventually as you show more and more responsibility and maturity some of those restrictions are lifted," he said.
The bottom line of the presentation was that cyber bullying is cyber bullying and parents, as well as schools have an obligation to teach about social media- including the social aspects involved.
National Cyber Bully expert gives TUSD a lesson in prevention, discipline